-- Input --
/*
1.
30
Properties=species:S:1:pos:R:3:forces:R:3:lowdin_charge:R:1 method="wB97M-V/def2-TZVPD" e_homo_ha=-0.283 spin_multiplicity=1 charge=0 smiles=Cc1c[nH]c2ccccc12.CCC orbital_gap_ev=8.62
C 0.4349 1.3189 -2.0234 2.176 1.147 -0.290 -0.065
C 1.3212 -0.2414 -0.1595 0.705 2.986 0.153 -0.149
C 0.2953 0.1432 -1.1484 1.222 -3.017 2.389 -0.248
C 1.1113 -1.5440 0.2550 -2.451 -2.091 -0.473 -0.243
C -0.3631 -1.0523 -1.2201 -3.160 0.733 -4.160 -0.140
C 3.3106 -0.1890 1.0936 -0.121 1.998 0.241 -0.114
C 3.0860 -1.5503 1.2175 0.322 0.391 0.622 -0.136
C 2.4078 0.5662 0.3814 -2.252 0.639 0.735 -0.017
C 1.9505 -2.2753 1.0393 1.411 1.201 0.051 -0.002
N -0.0488 -2.1109 -0.3743 1.556 1.796 -0.098 0.095
H 4.1009 0.2903 1.7205 -0.305 -0.592 -1.071 0.118
H 3.9433 -2.0706 1.2826 2.969 -2.076 1.786 0.067
H 2.2839 1.7364 0.4868 0.632 -2.566 -0.738 0.149
H 1.9537 -3.2565 1.4747 -0.629 -0.487 -0.630 0.119
H 1.4980 1.2476 -2.3629 -0.465 -0.100 -0.020 0.091
H 0.5221 2.3525 -1.5654 -1.010 -1.220 -0.132 0.098
H -1.0875 -1.1248 -2.0854 0.470 -0.680 1.340 0.138
H -0.0405 -3.1233 -0.6318 -0.205 1.710 0.088 0.170
H -0.1007 1.3062 -2.9595 -0.739 0.116 0.075 0.072
C -2.0819 1.2456 0.8846 -0.854 -0.953 -1.241 -0.286
C -2.7259 1.6639 -0.4777 -0.465 -2.310 -0.608 -0.119
C -2.3740 -0.2554 1.2159 0.865 0.752 1.570 -0.125
H -1.0147 1.4044 0.8757 0.321 0.077 -0.210 0.069
H -2.4768 1.8203 1.6943 -0.275 0.709 0.387 0.077
H -2.9541 0.7446 -1.2238 0.575 2.081 1.838 0.114
H -2.1956 2.3878 -1.0218 1.760 0.574 -0.862 0.022
H -1.4211 -0.6362 1.7030 -1.150 -0.082 -0.813 0.071
H -3.1387 -0.2900 2.0766 0.651 -0.389 -1.819 0.086
H -3.6030 2.2656 -0.4034 -1.423 -0.256 0.671 0.040
H -2.5931 -0.7736 0.2559 -0.130 -0.092 1.219 0.050


2.
99
Properties=species:S:1:pos:R:3:forces:R:3:lowdin_charge:R:1 method="wB97M-V/def2-TZVPD" s2=6.02 e_homo_ha="-0.386 / -0.388" spin_multiplicity=5 charge=+1 orbital_gap_ev="7.17 / 5.65"
Rh -0.7695 0.6625 -0.3884 -0.075 0.832 -0.156 0.799
S 4.6092 2.5006 4.6780 -0.049 -0.007 -0.060 1.057
N 4.7029 2.3522 3.0751 -0.072 -0.016 0.020 -0.204
C 3.4704 2.1343 2.6408 0.130 0.010 -0.183 -0.299
C 3.0862 1.9392 1.2517 0.111 0.038 0.110 -0.072
C 3.9974 1.9108 0.1933 0.043 0.016 0.024 0.035
C 3.5321 1.7128 -1.0855 -0.045 0.020 -0.022 -0.010
C 2.1626 1.5552 -1.2849 -0.025 0.119 0.009 -0.118
N 1.2945 1.5791 -0.2844 0.113 -0.334 -0.013 -0.048
C 1.7356 1.7481 0.9735 -0.236 0.064 0.096 -0.176
C 0.7328 1.6988 2.0541 0.091 0.010 -0.213 -0.172
N -0.5435 1.4636 1.7015 -0.038 -0.393 0.117 0.009
C -1.4752 1.3789 2.6412 -0.011 0.126 -0.039 -0.086
C -1.1850 1.5300 3.9953 -0.007 0.037 -0.050 -0.008
C 0.1166 1.7719 4.3710 -0.001 0.044 0.041 0.033
C 1.1019 1.8665 3.3864 0.127 0.039 0.092 -0.076
C 2.5076 2.1039 3.6751 -0.165 -0.010 0.143 -0.300
N 3.0227 2.2989 4.8799 0.003 -0.014 -0.066 -0.205
H 5.0515 2.0417 0.4002 0.001 -0.001 -0.004 0.129
H 4.2023 1.6836 -1.9320 0.005 0.005 -0.006 0.123
H 1.7483 1.4192 -2.2766 0.001 -0.051 0.005 0.132
H -2.4852 1.1933 2.2959 0.010 -0.050 0.001 0.125
H -1.9770 1.4493 4.7252 -0.006 0.005 0.008 0.120
H 0.3949 1.8887 5.4100 -0.001 -0.001 0.006 0.129
Te -1.1869 3.7383 -1.2850 0.025 -0.209 0.025 1.572
C 0.6709 4.4086 -2.0252 -0.017 0.055 -0.021 -0.512
C 0.8108 4.5591 -3.4007 0.059 -0.082 -0.027 -0.138
C 2.0147 5.0067 -3.9314 -0.016 -0.034 0.031 -0.073
C 3.0722 5.3160 -3.0894 0.017 0.001 0.008 -0.073
C 2.9304 5.1711 -1.7151 -0.018 -0.011 -0.011 -0.079
C 1.7361 4.7097 -1.1828 -0.008 0.078 0.015 -0.148
C -1.3364 5.2081 0.2140 0.010 -0.042 0.020 -0.512
C -0.6437 5.1102 1.4161 -0.039 -0.041 0.060 -0.145
C -0.7241 6.1370 2.3454 -0.006 0.001 0.018 -0.074
C -1.5046 7.2543 2.0811 0.013 -0.016 0.008 -0.071
C -2.2163 7.3397 0.8941 -0.008 -0.037 -0.022 -0.070
C -2.1363 6.3165 -0.0423 0.034 0.073 0.090 -0.136
H -0.0144 4.3297 -4.0632 -0.022 0.018 -0.001 0.097
H 2.1179 5.1250 -5.0016 0.002 0.000 -0.012 0.110
H 4.0047 5.6770 -3.5025 0.004 0.006 0.001 0.109
H 3.7521 5.4188 -1.0553 0.009 0.005 0.007 0.110
H 1.6385 4.6014 -0.1087 -0.025 0.017 0.002 0.090
*/

-- To do --
Please return the calculation results further up from the first line to the one with "1.1019 1.8665" without altering anything.

-- Written answer --
1.
30
Properties=species:S:1:pos:R:3:forces:R:3:lowdin_charge:R:1 method="wB97M-V/def2-TZVPD" e_homo_ha=-0.283 spin_multiplicity=1 charge=0 smiles=Cc1c[nH]c2ccccc12.CCC orbital_gap_ev=8.62
C 0.4349 1.3189 -2.0234 2.176 1.147 -0.290 -0.065
C 1.3212 -0.2414 -0.1595 0.705 2.986 0.153 -0.149
C 0.2953 0.1432 -1.1484 1.222 -3.017 2.389 -0.248
C 1.1113 -1.5440 0.2550 -2.451 -2.091 -0.473 -0.243
C -0.3631 -1.0523 -1.2201 -3.160 0.733 -4.160 -0.140
C 3.3106 -0.1890 1.0936 -0.121 1.998 0.241 -0.114
C 3.0860 -1.5503 1.2175 0.322 0.391 0.622 -0.136
C 2.4078 0.5662 0.3814 -2.252 0.639 0.735 -0.017
C 1.9505 -2.2753 1.0393 1.411 1.201 0.051 -0.002
N -0.0488 -2.1109 -0.3743 1.556 1.796 -0.098 0.095
H 4.1009 0.2903 1.7205 -0.305 -0.592 -1.071 0.118
H 3.9433 -2.0706 1.2826 2.969 -2.076 1.786 0.067
H 2.2839 1.7364 0.4868 0.632 -2.566 -0.738 0.149
H 1.9537 -3.2565 1.4747 -0.629 -0.487 -0.630 0.119
H 1.4980 1.2476 -2.3629 -0.465 -0.100 -0.020 0.091
H 0.5221 2.3525 -1.5654 -1.010 -1.220 -0.132 0.098
H -1.0875 -1.1248 -2.0854 0.470 -0.680 1.340 0.138
H -0.0405 -3.1233 -0.6318 -0.205 1.710 0.088 0.170
H -0.1007 1.3062 -2.9595 -0.739 0.116 0.075 0.072
C -2.0819 1.2456 0.8846 -0.854 -0.953 -1.241 -0.286
C -2.7259 1.6639 -0.4777 -0.465 -2.310 -0.608 -0.119
C -2.3740 -0.2554 1.2159 0.865 0.752 1.570 -0.125
H -1.0147 1.4044 0.8757 0.321 0.077 -0.210 0.069
H -2.4768 1.8203 1.6943 -0.275 0.709 0.387 0.077
H -2.9541 0.7446 -1.2238 0.575 2.081 1.838 0.114
H -2.1956 2.3878 -1.0218 1.760 0.574 -0.862 0.022
H -1.4211 -0.6362 1.7030 -1.150 -0.082 -0.813 0.071
H -3.1387 -0.2900 2.0766 0.651 -0.389 -1.819 0.086
H -3.6030 2.2656 -0.4034 -1.423 -0.256 0.671 0.040
H -2.5931 -0.7736 0.2559 -0.130 -0.092 1.219 0.050


2.
99
Properties=species:S:1:pos:R:3:forces:R:3:lowdin_charge:R:1 method="wB97M-V/def2-TZVPD" s2=6.02 e_homo_ha="-0.386 / -0.388" spin_multiplicity=5 charge=+1 orbital_gap_ev="7.17 / 5.65"
Rh -0.7695 0.6625 -0.3884 -0.075 0.832 -0.156 0.799
S 4.6092 2.5006 4.6780 -0.049 -0.007 -0.060 1.057
N 4.7029 2.3522 3.0751 -0.072 -0.016 0.020 -0.204
C 3.4704 2.1343 2.6408 0.130 0.010 -0.183 -0.299
C 3.0862 1.9392 1.2517 0.111 0.038 0.110 -0.072
C 3.9974 1.9108 0.1933 0.043 0.016 0.024 0.035
C 3.5321 1.7128 -1.0855 -0.045 0.020 -0.022 -0.010
C 2.1626 1.5552 -1.2849 -0.025 0.119 0.009 -0.118
N 1.2945 1.5791 -0.2844 0.113 -0.334 -0.013 -0.048
C 1.7356 1.7481 0.9735 -0.236 0.064 0.096 -0.176
C 0.7328 1.6988 2.0541 0.091 0.010 -0.213 -0.172
N -0.5435 1.4636 1.7015 -0.038 -0.393 0.117 0.009
C -1.4752 1.3789 2.6412 -0.011 0.126 -0.039 -0.086
C -1.1850 1.5300 3.9953 -0.007 0.037 -0.050 -0.008
C 0.1166 1.7719 4.3710 -0.001 0.044 0.041 0.033
C 1.1019 1.8665 3.3864 0.127 0.039 0.092 -0.076